By Anne Lee

The ability to do away with reels and standards and fence cows “virtually” as well as get cows to and from milking on their own could save a 520-cow farm like the Lincoln University Dairy Farm (LUDF) 38.5 hours a week during the milking season.

Halter business development executive Theo Beaumont outlined how the new technology works at a recent LUDF focus day and while LUDF doesn’t have the solar-powered, smart-collar technology a desktop exercise for the farm estimates possible time savings across several activities could be significant.

In addition to the 38.5 hours per week saved on not moving and fencing cows through the milking season it could also allow:

  • 21 hours per week to be saved on moving break fences in the winter.
  • five hours per week saved during calving.
  • Seven hours per week to be saved not having to tail paint cows due to heat detection abilities.
  • Seven hours per week saved on detecting heats.
  • two hours per week saved on drafting AB cows.

The Halter system enables farmers to set up virtual fences with the solar-powered GPS locator system identifying where cows are relative to that “fence.”

As the cow approaches the fence it receives cues from the collars as sound and vibration with sounds getting louder and more frequent the closer the cow gets.

Training over a six-to-seven-day period gets the cows familiar with what the vibration and sounds mean and initially an electrical pulse signals to the cow it’s reached the fence.

While a cow will receive a visual cue from a typical electrified tape break fence or the wire on a permanent fence, the virtual fence gives its cues through sound and vibration.

The consequences of not heeding those cues in each case is the same although once through the initial few days of training, the Halter system will use sound and vibration to guide a cow back through the virtual fence if they’ve breached it rather than a pulse.

The ability to “draw a line” on a map in the app on your smart phone means the virtual fence can be shifted without people having to go into the paddock.

Breaks can be adjusted and shifted any time and can even be pre-set to occur over future hours or days.

Halter’s cowgorithm (their patented sophisticated set of algorithms ) guides cows around – asking them to move left or right or forward – means there’s no need to physically get cows out of a paddock and bring them to milking.

Cows can be trained to turn right when they hear the sound from their left side and will turn left if the cues come from their right side.

The Halter business model involves the farmer leasing the hardware – the collar and physical smart technology components – and paying a subscription for the software modules accessed via an app.

That software can be updated, just as smart phones are updated, so there’s no need to be removing hardware from the cows.

Currently the company is rolling out the ability to draft individual cows or groups from the herd while the cows are still in the paddock.

(Attached: crystal structures)
-- begin --
No. 1
Tm4HgGeC: calculated powder XRD pattern (Cu Kα (weighted mean of Kα1 and Kα2)), based on a DFT-relaxed cell (PBE, Alexandria).

Largest 6 diffraction maxima, in order of falling intensity, 2θ = 5–70°:
2θ/deg	I (rel.)	hkl
36.4	100	2 4 0
37.8	73	2 0 2
29.2	44	2 2 0
29.3	43	0 2 2
54.1	33	2 6 2
37.2	24	0 6 0

Crystal structure
```
data_Tm4HgGeC
_symmetry_space_group_name_H-M 'C m c m'
_symmetry_Int_Tables_number 63
_symmetry_space_group_name_Hall '-C 2c 2'
_cell_length_a 6.748
_cell_length_b 14.497
_cell_length_c 6.719
_cell_angle_alpha 90.00
_cell_angle_beta 90.00
_cell_angle_gamma 90.00
loop_
_atom_site_label
_atom_site_type_symbol
_atom_site_fract_x
_atom_site_fract_y
_atom_site_fract_z
_atom_site_occupancy
Tm1 Tm 0.000 0.080 0.250 1
Tm2 Tm 0.000 0.417 0.250 1
Tm3 Tm 0.250 0.250 0.000 1
Hg1 Hg 0.000 0.385 0.750 1
Ge1 Ge 0.000 0.123 0.750 1
C1 C 0.000 0.248 0.250 1
```

No. 2
Ho4GePbC: calculated powder XRD pattern (Cu Kα (weighted mean of Kα1 and Kα2)), based on a DFT-relaxed cell (PBE, Alexandria).

Largest 6 diffraction maxima, in order of falling intensity, 2θ = 5–70°:
2θ/deg	I (rel.)	hkl
35.3	100	2 4 0
29.0	77	2 2 0
38.0	63	2 0 2
52.3	42	2 6 2
34.5	38	0 6 0
66.9	32	4 4 2

Crystal structure
```
data_Ho4GePbC
_symmetry_space_group_name_H-M 'C m c m'
_symmetry_Int_Tables_number 63
_symmetry_space_group_name_Hall '-C 2c 2'
_cell_length_a 6.696
_cell_length_b 15.589
_cell_length_c 6.699
_cell_angle_alpha 90.00
_cell_angle_beta 90.00
_cell_angle_gamma 90.00
loop_
_atom_site_label
_atom_site_type_symbol
_atom_site_fract_x
_atom_site_fract_y
_atom_site_fract_z
_atom_site_occupancy
Ho1 Ho 0.000 0.083 0.250 1
Ho2 Ho 0.000 0.408 0.250 1
Ho3 Ho 0.250 0.250 0.000 1
Ge1 Ge 0.000 0.115 0.750 1
Pb1 Pb 0.000 0.394 0.750 1
C1 C 0.000 0.248 0.250 1
```

No. 3
GeCI2O: calculated powder XRD pattern (Cu Kα (weighted mean of Kα1 and Kα2)), based on a DFT-relaxed cell (PBE, Alexandria).

Largest 6 diffraction maxima, in order of falling intensity, 2θ = 5–70°:
2θ/deg	I (rel.)	hkl
35.6	100	1 1 1
31.1	83	2 0 0
58.3	47	3 1 1
21.8	34	1 1 0
44.5	30	2 2 0
66.8	17	2 0 2

Crystal structure
```
data_GeCI2O
_symmetry_space_group_name_H-M 'P 4/m m m'
_symmetry_Int_Tables_number 123
_symmetry_space_group_name_Hall '-P 4 2'
_cell_length_a 5.757
_cell_length_b 5.757
_cell_length_c 3.206
_cell_angle_alpha 90.00
_cell_angle_beta 90.00
_cell_angle_gamma 90.00
loop_
_atom_site_label
_atom_site_type_symbol
_atom_site_fract_x
_atom_site_fract_y
_atom_site_fract_z
_atom_site_occupancy
Ge1 Ge 0.000 0.000 0.000 1
C1 C 0.500 0.500 0.500 1
I1 I 0.000 0.500 0.500 1
O1 O 0.500 0.500 0.000 1
```

No. 4
La5Ge2C: calculated powder XRD pattern (Cu Kα (weighted mean of Kα1 and Kα2)), based on a DFT-relaxed cell (PBE, Alexandria).

Largest 6 diffraction maxima, in order of falling intensity, 2θ = 5–70°:
2θ/deg	I (rel.)	hkl
25.6	100	1 3 0
30.0	85	2 0 0
34.2	79	0 4 3
46.1	68	2 4 3
37.0	50	1 1 5
26.4	42	1 3 1

Crystal structure
```
data_La5Ge2C
_symmetry_space_group_name_H-M 'C m c m'
-- stop --
(The crystal structures stop here)

Individuals are directed away from the main herd and can then be brought back to the yard or sent to another area of the farm. LED lights on the collar light up to make those selected cows more visible.

The system can also “passively” draft cows – switching the collar on a specific cow into “neutral“ so a calving cow, for instance, could have access to the whole paddock area rather than an area virtually fenced for springers.

As well as the ability to manage cow movements a raft of other farm management efficiencies are available such as heat detection, rumination insights and pasture management with environmental monitoring now on the company’s radar.

Halter’s head of business development Steve Crowhurst says the company has found the time savings on farms using the technology are substantial.

“I’m pretty confident we really have the answer to labour shortages we’re seeing onfarm today.

“So often farmers are compromising in terms of what jobs they can get done onfarm in the time they have available and what we’re seeing is that this technology is removing that need to choose between one job and another or having to compromise on the jobs they are getting done.

“What we’re seeing is that it’s opening up more options on how farmers can operate.”

At LUDF, for instance, the farm team is establishing pure plantain paddocks and grazing cows on them for short periods through each day in an effort to get the nitrogen leaching reduction benefits plantain can give.

“But shifting cows on and off all takes time. Halter can do that for them so they can get their 9kg N/ha leaching reductions without any additional pressure on staff time at all,” Steve says.

The monitoring device on the collar measures the 3D movements of the cow and the strength of those movements.

From those measures powerful data analysis and algorithms can distinguish the animal’s behaviours such as rumination, grazing, standing, lying and walking and from that data it can provide heat detection and health alerts.

There’s no need to tail paint cows or have anyone standing in the farm dairy each morning picking cows for insemination. There’s also time to be saved by acting early when it comes to health alerts. Along with time savings the system also offers some significant opportunities to improve efficiency and productivity gains Steve says.

The ability to include pasture growth and cover information for instance means that as virtual fences are set up the app can give the farmer information on how much feed on a per cow basis is being allocated.

“That knowledge – the ability to get more precision with feeding and allocation, the ability to back fence cows easily and move cows so easily to the next break all drive pasture utilisation and that’s the big driver of productivity and profitability.

“Halter is an investment where farmers can reduce costs but they can also unlock new value opportunities with operational efficiencies.”

The farmer feedback loop is an integral part of Halter’s strategy.

It means top farmers feeding back information and working with some of the country’s leading minds when it comes to data, software and firmware development, Steve says.

“We’re constantly looking at how we help farmers achieve their long-term goals, how we provide them with a robust system for the future and keep on improving and updating that – that’s why this technology is so transformational.”